alliance 2030- in the dark future there is only war

okay so i was in the shower this morning and had what i think could be a superb idea for a small offshoot/ between real games alliance event. Alliance 2030, more or less it is the world in the far future where all the land is taken up by the larger nations, and thus open war for resources is happening. OOG it would be a very modified game to use airsoft weapons in place of boffer ones. I am not sure if there are any other people who like myself do both, but it is an idea i would like to float out there.
these are some mods for the rules i thought up, please keep in mind these are in no way balanced, just ideas at this point.

1 every weapon prof or backstab will change over to X grenades
2 every X earth spells will change to X revives of downed players
3 every X celestial spells will translate to X extra mid-cap mags
4 dagger= pistol, one hand blunt= smg, one hand edge= assault rifle ect

another idea would be to simply reassign build to a new set of classes and such, allowing for a new 2030 character.
as of now this is only an idea, please feel free to float out any additions, comments, or condemnations you have.
eh seems to me if you want to design a wargame, there would be better places to start then trying to modify our system, and if you just want to keep relative levels, just make the new game use build....
you do have a point, a new system would lend to a cleaner game over all. more than anything i guess this idea was to offer something new to try out in between alliance games in the upper midwest. for that reason i put it in the off topic forum for people to look at, and see if there is any interest.
also an idea, however paintball would cut down on the costuming side of things, i was hoping for a more in depth environment rather then just setting up a "special Rules" game. the feel i was going for would be along the lines of a cyber/steam punk. With the set-up of some of the "stalker" airsoft games, if anyone has been to/seen one.
GabrielDigreoni said:
also an idea, however paintball would cut down on the costuming side of things, i was hoping for a more in depth environment rather then just setting up a "special Rules" game. the feel i was going for would be along the lines of a cyber/steam punk. With the set-up of some of the "stalker" airsoft games, if anyone has been to/seen one.

They have the post -apocalyptic zombie larps that use air soft, but the Ohio site also hosts a "Wild West" larp with the air soft guns...
There is a LARP out there based on Shadowrun... I think its based in Indy if memory serves. Looked like a lot of fun.

(Inserted here: records of molecules)
/*
(1)
Below is a cluster of 6 separate species, C34H64B2FO11S5 in total in a non-equilibrium geometry, with properties calculated with ωB97M-V/def2-TZVPD.

orbital gap = 5.241 eV
multiplicity = 1
DFT total energy = -117061.92874 eV
molar mass = 849.83 u
charge = -1

Each line ends with the Mulliken charge.
CARTESIAN COORDINATES (ANGSTROEM)
C -4.08708 -2.80635 1.48113  -0.87
C -3.34773 -1.98870 0.32088  -0.58
C -1.96678 -1.38572 0.78629  0.53
B -1.99148 0.18555 1.33385  0.74
C -3.47353 0.87208 1.50186  -1.11
C -4.33414 0.36323 2.73128  0.03
C -5.87572 0.25368 2.42782  0.28
C -6.57346 1.07220 1.44720  -0.41
C -8.01652 0.89849 1.24400  -0.51
C -8.80076 -0.06993 2.00404  -0.41
C -8.11164 -0.87168 3.01038  -0.49
C -6.67010 -0.71046 3.20153  -0.34
B -1.03064 0.23758 2.71730  -0.15
C 0.51016 0.81021 2.71488  -0.67
O -1.45693 -0.25970 4.02585  0.10
C -1.19966 1.08035 0.16888  1.09
C -1.95644 1.05185 -1.24694  -0.95
F -1.07167 2.48223 0.51267  -0.51
H -3.56165 -2.67950 2.47095  0.16
H -5.17043 -2.50185 1.56480  0.12
H -4.09722 -3.91119 1.28290  0.34
H -4.02796 -1.26878 -0.19732  0.21
H -3.09909 -2.77898 -0.45394  0.47
H -1.28530 -1.42413 -0.11662  -0.68
H -1.45738 -2.02343 1.56827  0.22
H -3.29598 1.97711 1.68322  0.40
H -4.10048 0.83668 0.56082  0.09
H -3.94582 -0.57033 3.21287  -0.08
H -4.26715 1.15794 3.53467  0.48
H -6.00774 1.83336 0.87076  0.36
H -8.58408 1.50635 0.49461  0.29
H -9.89512 -0.22261 1.87444  0.32
H -8.61308 -1.62001 3.66077  0.31
H -6.11379 -1.30503 3.96692  0.28
H 1.06047 0.32365 1.86059  -0.03
H 1.03805 0.44895 3.65033  0.07
H 0.51834 1.93152 2.64786  0.28
H -1.46066 -1.23008 3.89278  0.22
H -0.16694 0.66308 -0.03474  -0.60
H -2.31971 2.10287 -1.45394  0.17
H -1.19921 0.82307 -2.04147  0.01
H -2.83571 0.36632 -1.23659  0.13
C 3.53092 -1.35818 -0.45693  0.02
C 3.03978 -0.72785 -1.76297  -0.87
C 2.18008 -1.77031 -2.48016  -0.16
S 1.48654 -2.81380 -1.20178  1.06
O 2.02843 -4.15034 -1.34763  -0.75
O 0.06970 -2.56549 -1.10847  -0.63
C 2.30553 -2.01769 0.16866  0.17
H 3.97010 -0.61796 0.20908  0.54
H 4.28452 -2.10596 -0.67268  -0.36
H 2.43514 0.15493 -1.53617  0.27
H 3.86958 -0.40294 -2.39194  0.39
H 1.37466 -1.30966 -3.04010  -0.12
H 2.78057 -2.39790 -3.13976  0.37
H 2.55412 -2.75507 0.93056  0.61
H 1.62196 -1.27126 0.57731  -0.77
C 0.28707 -1.94294 -7.35715  -0.69
C 1.52919 -1.31224 -7.99502  -0.60
C 1.75592 0.04194 -7.31648  -0.72
S 1.07342 -0.10479 -5.66490  1.22
O -0.05310 0.78602 -5.55255  -0.67
O 2.14945 -0.10432 -4.70246  -0.64
C 0.46176 -1.77293 -5.85294  -0.69
H 0.18011 -2.99322 -7.63102  0.35
H -0.60908 -1.41300 -7.69196  0.31
H 2.39430 -1.95941 -7.82428  0.29
H 1.41488 -1.19708 -9.07394  0.32
H 2.81480 0.28660 -7.24765  0.35
H 1.22251 0.84152 -7.83095  0.38
H -0.46604 -1.89213 -5.29530  0.53
H 1.22306 -2.45256 -5.46608  0.29
C -0.16197 0.78082 9.52737  -0.60
C -1.66314 1.04455 9.37100  -0.59
C -1.87036 1.73499 8.01890  -0.72
S -0.52968 1.18211 6.96015  1.09
O 0.30922 2.31627 6.65176  -0.72
O -1.05648 0.31410 5.93355  -0.55
*/

shadow run is basically Cyber Punk D&D. the story goes that the native american's were pretty pissed about being wiped out and eventually they got together and did some kind of hoojoo dance and brought back magic to the world in the late 20th century (i think). People's children then began to be born as Elves, orcs, trolls, etc.

You can play all kinds of races and classes which combine magic and technology. usually though, the more tech you have, the less magic, and vice versa.. plus, since it's cyberpunk, you can have all kinds of neat cyberware like a cybernetic arm, or eyes, or whatever, but the more you get, the less of a "soul" you have and bad stuff can happen.

-- Between two parts of the text: records of molecules --
=====
This record from the Open Molecules 2025 dataset describes 8 unconnected molecules or ions with the total composition C38H88N4O8 in a non-equilibrium geometry. The level of theory is ωB97M-V/def2-TZVPD.

The geometry in ORCA input format:
```
! wB97M-V def2-TZVPD RIJCOSX def2/J DEFGRID3
* xyz 0 1
C 16.329 9.332 9.329
C 17.139 10.442 10.028
C 18.140 10.988 8.948
C 16.072 11.524 10.494
C 16.638 12.659 11.316
C 17.387 12.101 12.509
C 18.364 10.930 12.260
C 19.728 11.516 11.749
C 18.607 10.316 13.649
N 17.747 9.957 11.272
O 18.615 8.887 11.056
H 15.628 8.826 9.993
H 15.730 9.715 8.502
H 16.949 8.572 8.854
H 18.543 11.964 9.216
H 18.934 10.277 8.718
H 17.654 11.269 8.013
H 15.687 11.939 9.563
H 15.199 11.175 11.045
H 17.340 13.228 10.706
H 15.822 13.280 11.685
H 16.682 11.888 13.312
H 17.958 12.940 12.905
H 20.010 10.957 10.857
H 20.483 11.607 12.530
H 19.580 12.539 11.402
H 18.672 11.077 14.428
H 19.613 9.908 13.743
H 17.823 9.623 13.955
H 18.347 8.287 11.756
C 14.400 14.730 8.643
C 14.936 14.784 7.205
C 14.482 13.611 6.280
C 14.503 16.084 6.586
C 15.611 16.920 5.753
C 16.648 17.299 6.774
C 17.345 15.994 7.425
C 18.623 15.823 6.696
C 17.672 16.205 8.941
N 16.429 14.802 7.278
O 16.997 13.601 7.667
H 14.848 15.502 9.268
H 13.312 14.803 8.621
H 14.629 13.815 9.189
H 14.607 13.890 5.234
H 14.959 12.641 6.422
H 13.421 13.560 6.522
H 13.680 15.921 5.891
H 14.090 16.735 7.357
H 15.994 16.255 4.979
H 15.202 17.814 5.284
H 16.227 17.918 7.565
H 17.370 17.973 6.312
H 19.173 16.758 6.587
H 18.444 15.520 5.665
H 19.312 15.170 7.231
H 18.486 16.912 9.103
H 18.148 15.339 9.400
H 16.728 16.395 9.451
H 17.182 13.271 6.784
C 11.127 18.971 12.588
C 10.207 17.785 12.312
C 10.262 16.844 13.522
C 8.830 18.325 12.080
C 7.810 17.447 11.370
C 8.465 17.018 10.060
C 9.852 16.296 10.206
C 9.695 14.881 10.846
C 10.368 16.184 8.773
N 10.694 17.139 11.096
O 12.061 16.734 11.136
H 12.111 18.576 12.844
H 11.392 19.534 11.693
H 10.660 19.632 13.317
H 9.969 17.398 14.414
H 9.637 15.953 13.466
H 11.239 16.435 13.780
H 8.391 18.491 13.064
H 8.771 19.285 11.567
H 7.720 16.522 11.938
H 6.828 17.907 11.257
H 8.569 17.918 9.454
H 7.724 16.373 9.588
H 9.020 14.944 11.700
H 10.655 14.438 11.113
H 9.312 14.101 10.189
H 9.657 15.757 8.066
H 11.250 15.549 8.685
H 10.493 17.169 8.323
H 12.024 15.880 11.573
C 18.666 23.809 12.082
C 17.566 22.947 12.659
C 17.712 22.915 14.250
C 16.294 23.781 12.354
C 15.046 23.015 12.827
C 15.032 21.609 12.183
C 16.332 20.755 12.220
C 16.221 19.970 13.530
C 16.219 19.763 11.031
N 17.557 21.590 11.991
O 18.720 20.799 12.116
H 18.645 24.861 12.367
H 18.648 23.718 10.996
H 19.596 23.283 12.298
H 18.603 22.341 14.505
H 16.841 22.465 14.727
H 17.857 23.864 14.765
H 16.338 24.732 12.885
H 16.252 23.969 11.281
H 14.166 23.559 12.483
H 14.988 22.959 13.914
H 14.711 21.830 11.165
H 14.149 21.158 12.637
H 17.186 19.562 13.830
H 16.067 20.695 14.330
H 15.366 19.296 13.569
H 17.090 19.113 10.946
H 15.402 19.055 11.168
H 16.082 20.210 10.046
H 18.923 20.604 11.199
=====
-- The text goes on --

I haven't played it in years, but I own nearly all of the 3rd edition books (the last good edition). probably my second fav. RPG of all time.
I just got into Shadowrun myself. It's story is tight, but the mechanics have a bit of a learning curve. Once you've got the basics though it runs very smoothly.

My current shadowrunner is an elven pikey bareknuckle boxer. Maybe I've seen Snatch too many times.
heh.. the rules take a bit to get used to, but it's actually a good system. Rule of 6 for the win!

until you start screwing around in the matrix.... then all bets are off.
Agreed I loved SR3 but I couldnt get folks to sit down long enough to figure out the system.

What comes next are records of molecules, not part of the article.
=====
Entry 1:
{
  "formula": "C20H59BN5O5Pb",
  "method": "the ωB97M-V functional and the def2-TZVPD basis",
  "symbols": ["Pb", "B", "H", "H", "H", "H", "C", "C", "C", "O", "C", "N", "H", "H", "H", "H", "H", "H", "H", "H", "H", "H", "H", "C", "C", "C", "O", "C", "N", "H", "H", "H", "H", "H", "H", "H", "H", "H", "H", "H", "C", "C", "C", "O", "C", "N", "H", "H", "H", "H", "H", "H", "H", "H", "H", "H", "H", "C", "C", "C", "O", "C", "N", "H", "H", "H", "H", "H", "H", "H", "H", "H", "H", "H", "C", "C", "C", "O", "C", "N", "H", "H", "H", "H", "H", "H", "H", "H", "H", "H", "H"],
=====

SR is great but if your looking for true post apocalyptic and a great system, I reccomend Deadlands Hell On Earth by Pinnicale
Gamma World 2ed FTW!
Another great post apocolyptic setter is "The End". It takes place after the Rapture, and PC's are just regular people who, forwahtever their sin was, were not accepted into paradise.

God is gone, and the world is reverting to a pre historical state. Technology not activly maintained falls apart rapidly and the forests and natural parts of the world are taking the land back by force. Giant, primordial versions of regular animals terrorize landscape. Its a cool setting. To quote the game's tag line:

In the end, the meek shall inherit the earth....poor bastards.

That is one of the most chilling games I have ever Played in.

If this is something that actually takes off, I know of two people that would be game for it and help supply weapons, they have enough to outfit a group or team.

Me... I'll stick to foam-wrapped plumping supplies, those pellets can freakin' hurt! Then again, I bruise easy.